Wanted
Next, say how many lines of the lines further down hold the word "charge", as a bare number.

Excerpt
24
Properties=species:S:1:pos:R:3 method="wB97M-V/def2-TZVPD" orbital_gap_ev=5.1 charge=-2 de_lowest_kcal_mol=0.0 e_lumo_ev=4.494
C 0.004 4.645 -0.167
C -0.245 4.330 2.191
C 1.240 -6.238 -1.568
N 1.751 -7.273 -1.547
O 0.293 -0.948 1.324
S 1.771 -3.607 -1.704
O 0.530 0.643 -0.693
C -1.468 -6.094 -1.451
C 0.161 3.275 -0.339
C -0.091 2.963 2.038
H -0.128 2.298 2.887
N 0.163 0.260 1.569
N 0.281 1.043 0.528
C -0.201 5.186 1.093
Ag 0.107 -1.757 -0.938
H 0.323 2.826 -1.307
S -1.732 -3.423 -1.553
C 0.635 -4.923 -1.585
H 0.042 5.294 -1.035
H -0.404 4.733 3.184
H -0.322 6.255 1.223
C -0.730 -4.852 -1.525
C 0.111 2.429 0.763
N -2.090 -7.065 -1.387

~~~~~

(1)
14
Properties=species:S:1:pos:R:3:lowdin_charge:R:1 method="wB97M-V/def2-TZVPD" smiles="C1=CC1.C=C=C" orbital_gap_ev=10.4 relative_energy_ev=3.953 total_energy_ha=-233.2417
C 1.097 -1.616 -0.394 0.005
C 1.352 -0.717 0.516 -0.199
C 1.506 0.266 1.360 -0.024
C -0.725 1.323 -0.335 -0.093
C -1.750 0.276 -0.016 -0.167
C -1.085 0.578 -1.328 -0.096
H 1.549 -2.603 -0.421 0.060
H 0.853 0.363 2.224 0.071
H 2.248 1.042 1.191 0.066
H -0.145 2.144 0.058 0.094
H -2.788 0.583 0.138 0.071
H -1.467 -0.618 0.553 0.071
H 0.375 -1.354 -1.169 0.046
H -1.018 0.333 -2.377 0.095

(2)
60
Properties=species:S:1:pos:R:3:lowdin_charge:R:1 method="wB97M-V/def2-TZVPD" smiles="CC(C)c1ccc(/C=N/Nc2cc(N3CCOCC3)nc(N3CCOCC3)n2)cc1" orbital_gap_ev=8.2 relative_energy_ev=2.498 total_energy_ha=-1335.3292
C 8.267 0.559 -1.424 -0.067
H 7.664 1.452 -1.570 0.073
H 8.044 -0.140 -2.227 0.082
H 9.316 0.840 -1.490 0.076
C 7.976 -0.079 -0.064 -0.393
C 6.550 -0.564 0.012 -0.216
C 5.479 0.312 -0.143 -0.028
C 4.178 -0.135 -0.069 -0.019
C 3.900 -1.484 0.167 -0.221
C 4.972 -2.363 0.325 -0.037
C 6.272 -1.905 0.247 -0.030
H 7.089 -2.603 0.372 0.111
H 4.780 -3.410 0.510 0.108
C 2.543 -1.970 0.248 -0.104
N 1.544 -1.192 0.090 0.052
N 0.310 -1.670 0.173 0.015
C -0.799 -0.883 0.005 -0.311
N -1.961 -1.525 0.136 0.164
C -3.052 -0.774 -0.027 -0.363
N -3.078 0.529 -0.298 0.169
C -1.906 1.165 -0.425 -0.280
N -1.974 2.480 -0.777 -0.070
C -3.252 3.162 -0.748 -0.130
C -3.390 3.938 0.566 -0.184
H -3.415 3.223 1.404 0.128
O -2.321 4.844 0.739 -0.134
C -1.078 4.179 0.718 -0.185
C -0.884 3.412 -0.598 -0.123
H 0.075 2.899 -0.596 0.109
H -0.906 4.121 -1.432 0.131
H -0.317 4.953 0.836 0.126
H -1.015 3.472 1.560 0.130
H -4.300 4.539 0.575 0.125
H -3.287 3.860 -1.591 0.129
H -4.040 2.417 -0.842 0.106
C -0.699 0.473 -0.275 0.038
H 0.275 0.914 -0.374 0.080
N -4.249 -1.385 0.117 -0.063
C -5.482 -0.664 -0.100 -0.137
H -5.660 -0.510 -1.173 0.132
C -6.630 -1.461 0.510 -0.189
H -6.465 -1.561 1.593 0.126
O -6.777 -2.742 -0.073 -0.135
C -5.558 -3.315 -0.513 -0.185
H -5.671 -4.397 -0.405 0.124
C -4.357 -2.816 0.283 -0.135
H -3.434 -3.273 -0.076 0.113
H -4.481 -3.072 1.343 0.130
H -5.407 -3.084 -1.578 0.127
H -7.581 -0.946 0.351 0.126
H -5.405 0.318 0.374 0.118
H 0.138 -2.658 0.370 0.153
H 2.406 -3.040 0.453 0.124
H 3.350 0.546 -0.191 0.104
H 5.666 1.360 -0.325 0.111
C 8.272 0.904 1.071 -0.065
H 9.316 1.207 1.044 0.076
H 7.653 1.793 0.982 0.075
H 8.070 0.441 2.035 0.082
H 8.637 -0.945 0.054 0.130

(3)
95
Properties=species:S:1:pos:R:3:lowdin_charge:R:1 method="wB97M-V/def2-TZVPD" multiplicity=5 orbital_gap_ev="8.9 / 9.1" relative_energy_ev=0.623 total_energy_ha=-3137.6624 charge=+2
Pm 0.169 -0.438 0.364 1.698
C 2.365 3.499 3.250 -0.006
N 1.842 2.692 2.138 -0.101
C 2.844 1.873 1.455 -0.041
C 0.611 2.940 1.623 -0.390
N 0.061 2.149 0.747 -0.030
C -1.025 2.750 -0.072 -0.196
C -1.781 1.759 -0.945 -0.221
N -0.930 0.742 -1.601 -0.270
C 0.055 1.359 -2.521 -0.148
C 1.442 1.497 -1.941 -0.233
N 1.978 0.195 -1.500 0.004
C 3.002 -0.260 -2.192 -0.365
N 3.533 -1.488 -1.989 -0.115
C 2.861 -2.500 -1.211 -0.058
C 4.929 -1.796 -2.316 -0.018
N 3.636 0.517 -3.148 -0.187
C 4.256 1.774 -2.753 -0.044
C 4.044 -0.040 -4.432 -0.046
C -1.768 -0.239 -2.333 -0.170
C -1.056 -1.566 -2.438 -0.227
N -0.990 -2.167 -1.089 -0.043
C -1.352 -3.446 -0.993 -0.389
N -1.226 -4.341 -2.012 -0.134

Result
2